Activity >
Give back only the last part of the lines further down, starting with the line that has "(3)".

Data >
- - -
(1)
{"formula": "C5H11NO", "method": "ωB97M-V/def2-TZVPD", "relative_energy_kj_mol": 42.2, "molar_mass_g_mol": 101.1, "lumo_energy_ev": 0.9, "smiles": "CCCNC(C)=O", "charge": 0, "max_force_ha_per_bohr": 0.0232, "spin_multiplicity": 1, "e_homo_ev": -9.46, "species": ["C", "C", "C", "N", "C", "C", "O", "H", "H", "H", "H", "H", "H", "H", "H", "H", "H", "H"], "xyz": [[-2.265775, 0.392156, 2.139393], [-0.883867, -0.183366, 1.832626], [-0.356168, 0.621933, 0.628133], [0.896930, 0.146831, 0.086473], [1.087575, -0.272380, -1.194151], [0.026612, -0.047704, -2.253841], [2.124374, -0.841584, -1.503566], [-3.038660, -0.176927, 1.626803], [-2.480639, 0.399037, 3.206196], [-2.315834, 1.415905, 1.852923], [-0.276909, -0.019261, 2.718667], [-0.916758, -1.231062, 1.565766], [-1.159751, 0.523798, -0.094886], [-0.303272, 1.665566, 0.936137], [1.663562, 0.021642, 0.727599], [0.596325, 0.050858, -3.174814], [-0.601878, 0.804542, -2.034955], [-0.529756, -0.965211, -2.399698]], "forces_ev_per_a": [[-0.1, -1.0, 0.6], [0.0, 1.1, -0.2], [-0.2, -0.6, 0.7], [-0.9, 0.3, -0.2], [0.8, -0.6, 0.0], [0.7, -0.1, 0.2], [0.0, 0.2, 0.0], [-0.2, 0.2, 0.0], [-0.1, -0.3, 0.1], [-0.1, 0.9, -0.5], [0.5, -0.3, 0.0], [0.0, -0.3, 0.2], [0.2, 0.2, -0.4], [0.1, 0.2, -0.1], [0.1, -0.2, -0.2], [-0.1, 0.4, 0.0], [-0.2, 0.0, -0.3], [-0.4, -0.1, 0.3]]}

(2)
{"formula": "C5H11NO", "method": "ωB97M-V/def2-TZVPD", "relative_energy_kj_mol": 473.1, "molar_mass_g_mol": 101.1, "lumo_energy_ev": 0.3, "charge": 0, "max_force_ha_per_bohr": 0.0637, "spin_multiplicity": 1, "e_homo_ev": -8.14, "species": ["N", "C", "C", "C", "C", "C", "H", "H", "H", "H", "H", "H", "H", "H", "H", "H", "H", "O"], "xyz": [[-0.989872, 1.221882, -0.998914], [-0.182210, 0.019326, -1.103188], [1.205295, 0.034718, -1.255017], [1.373116, 0.579212, 0.096837], [1.397464, -0.133236, 1.266097], [-0.924523, -1.307839, -0.889781], [-0.874758, 1.642274, -0.090213], [-0.755249, 1.862420, -1.741064], [1.841121, -0.776928, -1.607513], [1.561354, 1.650691, 0.163774], [2.097766, 0.058986, 2.070394], [1.129958, -1.171440, 1.077490], [-0.166945, -2.084884, -0.948639], [-1.662173, -1.386044, -1.695894], [-1.435358, -1.338896, 0.068523], [-1.896941, 0.569758, 1.487780], [-0.394521, 0.263749, 1.889964], [-1.323525, 0.296252, 2.209365]], "forces_ev_per_a": [[0.4, -1.1, 0.3], [0.1, -1.3, -0.5], [-1.8, -0.2, 0.5], [1.8, 2.3, 1.4], [1.0, -1.1, -2.5], [0.4, 1.1, -1.5], [-0.3, 0.4, 0.0], [0.3, 0.2, 0.2], [-0.7, -0.4, 0.4], [0.1, 0.1, 0.2], [-0.7, 0.6, 0.4], [0.2, -0.3, 0.5], [-0.3, -0.3, 0.0], [-0.1, -0.3, 0.2], [0.0, 0.2, 0.1], [0.2, 0.0, -0.1], [-0.7, 0.1, 0.0], [0.1, 0.0, 0.3]]}

(3)
{"formula": "C5H11NO", "method": "ωB97M-V/def2-TZVPD", "relative_energy_kj_mol": 1109.1, "molar_mass_g_mol": 101.1, "lumo_energy_ev": -2.7, "charge": 0, "max_force_ha_per_bohr": 0.0580, "spin_multiplicity": 1, "e_homo_ev": -7.72, "species": ["C", "O", "C", "C", "C", "C", "N", "H", "H", "H", "H", "H", "H", "H", "H", "H", "H", "H"], "xyz": [[2.263695, 0.465712, 1.523494], [-1.814637, 1.642772, -0.174674], [0.903600, 0.423905, 1.753140], [-0.011914, -0.203443, 0.914969], [0.380609, -1.059875, -0.178683], [0.062836, -0.258801, -1.631714], [-0.210633, -1.608096, -1.763096], [2.670731, 0.095122, 0.591153], [2.784399, 1.264240, 2.044425], [-2.064041, 2.588185, -0.130209], [0.522043, 1.140438, 2.477083], [-2.999378, -1.199481, -1.004903], [-1.051489, 0.068367, 1.121422], [-2.984249, -0.645537, -1.494206], [-0.365956, -1.942086, -0.525292], [1.414362, -1.381432, -0.250938], [-0.540904, 0.564246, -1.256788], [1.040927, 0.045764, -2.015183]], "forces_ev_per_a": [[-2.2, 1.3, -0.4], [0.4, -0.1, 0.3], [2.8, 0.9, 0.4], [-2.1, -0.5, -1.4], [1.9, 0.6, -1.0], [1.4, -0.3, 1.5], [-0.7, 0.6, 1.0], [0.3, -0.4, 0.4], [0.4, -0.6, 0.2], [0.5, -0.7, 0.1], [-0.2, -0.5, 0.1], [-0.1, -0.1, 0.0], [0.0, -0.2, -0.6], [0.0, 0.1, 0.0], [-0.9, -0.6, 0.1], [-0.2, 0.1, 0.5], [-1.3, 0.2, -0.8], [0.0, 0.1, -0.4]]}

(4)
- - -

Worked solution >
(3)
{"formula": "C5H11NO", "method": "ωB97M-V/def2-TZVPD", "relative_energy_kj_mol": 1109.1, "molar_mass_g_mol": 101.1, "lumo_energy_ev": -2.7, "charge": 0, "max_force_ha_per_bohr": 0.0580, "spin_multiplicity": 1, "e_homo_ev": -7.72, "species": ["C", "O", "C", "C", "C", "C", "N", "H", "H", "H", "H", "H", "H", "H", "H", "H", "H", "H"], "xyz": [[2.263695, 0.465712, 1.523494], [-1.814637, 1.642772, -0.174674], [0.903600, 0.423905, 1.753140], [-0.011914, -0.203443, 0.914969], [0.380609, -1.059875, -0.178683], [0.062836, -0.258801, -1.631714], [-0.210633, -1.608096, -1.763096], [2.670731, 0.095122, 0.591153], [2.784399, 1.264240, 2.044425], [-2.064041, 2.588185, -0.130209], [0.522043, 1.140438, 2.477083], [-2.999378, -1.199481, -1.004903], [-1.051489, 0.068367, 1.121422], [-2.984249, -0.645537, -1.494206], [-0.365956, -1.942086, -0.525292], [1.414362, -1.381432, -0.250938], [-0.540904, 0.564246, -1.256788], [1.040927, 0.045764, -2.015183]], "forces_ev_per_a": [[-2.2, 1.3, -0.4], [0.4, -0.1, 0.3], [2.8, 0.9, 0.4], [-2.1, -0.5, -1.4], [1.9, 0.6, -1.0], [1.4, -0.3, 1.5], [-0.7, 0.6, 1.0], [0.3, -0.4, 0.4], [0.4, -0.6, 0.2], [0.5, -0.7, 0.1], [-0.2, -0.5, 0.1], [-0.1, -0.1, 0.0], [0.0, -0.2, -0.6], [0.0, 0.1, 0.0], [-0.9, -0.6, 0.1], [-0.2, 0.1, 0.5], [-1.3, 0.2, -0.8], [0.0, 0.1, -0.4]]}

(4)